Ains sui toz a son voloir, ne l'en desdi,
Wednesday, October 18, 2006
It was another perfect October day. The rain was misting and the yellow leaves were washed up along the pavement.
Carrie had returned home the previous morning, having driven since five in the morning. She got back just in time to discover that she also worked that same afternoon. But before leaving, she was convinced to join Rose in Egypt after Christmas. The trip seemed almost in the bag, provided the plane was not full. They would have confirmation by Friday.
In news of the morning, Mom drove Collette to Collette’s cardiologist appointment in the city. Kim Jong Il was being the usual nutcase that he was. And the Cardinal’s had been shipped back to New York.
The rest of the day took a busy turn as Mom and Collette stopped by Trader Joe’s on the way back to find the usual treasures – sparkling pomegranate juice for Carrie (and organic broccoli, which she seemed to like somehow), double-Brie, assorted pears (even red ones), egg rolls, and other such things.
And after picking up Rose from class (where her professor was being interviewed for the six o’clock news for his political view regarding some bribe in St. Peters City Hall), they dropped off Linnea at choir, went to Walgreens for Carrie to get her passport photos, to Target where Mom bought Collette a pair of jeans and two nice tops (and where Rose snuck in a bag of blow-pops), back to pick up Linnea from choir, and then to the post office off 5th Street for the girls to get their passports.
The piece is interrupted by data records >
- - -
{"formula": "K3TlAg8", "functional": "PBE-GGA", "state": "optimized geometry", "lattice_angstrom": [[-1.2693, 0.4973, -5.7471], [3.7100, -2.1846, -4.0437], [-3.7638, -8.8757, -2.9721]], "species": ["Ag", "Ag", "Ag", "Ag", "Ag", "Ag", "Ag", "Ag", "K", "K", "K", "Tl"], "frac_coords": [[0.1880, 0.1880, 0.4361], [0.4433, 0.9381, 0.6804], [0.9341, 0.4364, 0.1931], [0.4364, 0.9341, 0.1931], [0.9381, 0.9381, 0.6804], [0.9381, 0.4433, 0.6804], [0.6873, 0.6873, 0.9381], [0.4364, 0.4364, 0.1931], [0.5014, 0.5014, 0.4958], [0.3746, 0.3746, 0.8761], [0.9978, 0.9978, 0.0066], [0.8743, 0.8743, 0.3771]], "space_group": "R3m, No. 160", "rho_g_cm3": 6.9, "formation_enthalpy_0k_kcal_per_mol_atoms": 0.5}

=====

{"formula": "K4Tl5Ag", "functional": "PBE-GGA", "state": "optimized geometry", "lattice_angstrom": [[6.4931, 0.0000, 3.0385], [3.2466, 7.3994, 1.5192], [0.1104, 0.0000, 8.2211]], "species": ["Ag", "K", "K", "K", "K", "Tl", "Tl", "Tl", "Tl", "Tl"], "frac_coords": [[0.7590, 0.0000, 0.0000], [0.4925, 0.7527, 0.3637], [0.8562, 0.6363, 0.7527], [0.2452, 0.3637, 0.2473], [0.6089, 0.2473, 0.6363], [0.9588, 0.8811, 0.2872], [0.3561, 0.0000, 0.0000], [0.1271, 0.1189, 0.7128], [0.2460, 0.7128, 0.8811], [0.8399, 0.2872, 0.1189]], "space_group": "I4, No. 79", "rho_g_cm3": 5.4, "formation_enthalpy_0k_kcal_per_mol_atoms": -1.0}

=====

{"formula": "K3TlAg", "functional": "PBE-GGA", "state": "optimized geometry", "lattice_angstrom": [[-0.9876, 0.9027, -6.2571], [-6.2784, 0.6016, 1.0778], [0.7403, 6.3060, 0.7929]], "species": ["Tl", "K", "K", "K", "Ag"], "frac_coords": [[0.5000, 0.5000, 0.5000], [0.0000, 0.5000, 0.0000], [0.0000, 0.0000, 0.5000], [0.5000, 0.0000, 0.0000], [0.0000, 0.0000, 0.0000]], "relative_energy_mev_per_atom": 149, "space_group": "Pm-3m, No. 221", "rho_g_cm3": 2.7, "formation_enthalpy_0k_kcal_per_mol_atoms": 3.7}

=====

{"formula": "K12TlAg6", "functional": "PBE-GGA", "state": "optimized geometry", "lattice_angstrom": [[-10.1067, -0.4307, 1.9142], [1.5314, 3.3117, -9.6271], [4.1032, -9.3785, 1.0965]], "species": ["K", "K", "K", "K", "K", "K", "K", "K", "K", "K", "K", "K", "Ag", "Ag", "Ag", "Ag", "Ag", "Ag", "Tl"], "frac_coords": [[0.7038, 0.8835, 0.1797], [0.2962, 0.1165, 0.8203], [0.8203, 0.2962, 0.1165], [0.5241, 0.8203, 0.7038], [0.1165, 0.8203, 0.2962], [0.1797, 0.7038, 0.8835], [0.8835, 0.1797, 0.7038], [0.8203, 0.7038, 0.5241], [0.7038, 0.5241, 0.8203], [0.4759, 0.1797, 0.2962], [0.1797, 0.2962, 0.4759], [0.2962, 0.4759, 0.1797], [0.8811, 0.3811, 0.5000], [0.6189, 0.5000, 0.1189], [0.1189, 0.6189, 0.5000], [0.3811, 0.5000, 0.8811], [0.5000, 0.1189, 0.6189], [0.5000, 0.8811, 0.3811], [0.0000, 0.0000, 0.0000]], "space_group": "Im-3, No. 204", "rho_g_cm3": 2.6, "formation_enthalpy_0k_kcal_per_mol_atoms": 0.6}

=====
- - -
Collette found it odd that they did not send the girls into a separate room to fill out the paperwork. Apparently it was no longer necessary, and one of the ladies at the desk sorted everything right there among the packages and stamps. Five years before, Collette had been escorted to a separate office where only she, Mom, and the clerk had been present.
Meanwhile, as they had been conducting paperwork, the sky had darkened even more. A great dark front had moved in from the west while they were inside. And just as they began to leave, the wind picked up and blew the leaves across the road. The temperature had immediately begun to drop and it was suddenly cold. A perfect afternoon.
They picked up two cases of White Castles on the way back, just in time to arrive back at the house where Mom picked up Frances and drove him and Linnea to choir and youth. Joe had also returned awhile before from the Green Lantern, where he had begun his new job. And Carrie jokingly tried to sneak off to the coffeehouse to meet Elizabeth with Dad’s new car.
“Oh, come on, Dad,” she teased. “You know I’m going to have to drive it sometime.”
“No one drives the car,” Dad said.
“Oooohhhh…” Carrie giggled, stroking the new car key’s automatic buttons.
== Attached: data records ==
[1]
Computed, not measured: a geometry-optimized Na2Al3Ga4 structure at the GGA-PBE level of DFT.

The formation energy from the elements is -0.031 eV per atom. The space group is Cmce, No. 64.

a b c (Å): 5.866 7.868 8.443
angles (deg): 90.00 110.33 90.00
Atoms (fractional coordinates):
Ga 0.185 0.750 0.870
Ga 0.685 0.750 0.870
Ga 0.325 0.480 0.649
Ga 0.815 0.250 0.130
Ga 0.675 0.520 0.351
Ga 0.175 0.980 0.351
Ga 0.315 0.250 0.130
Ga 0.825 0.020 0.649
Al 0.500 0.500 0.000
Al 0.018 0.750 0.536
Al 0.000 0.000 0.000
Al 0.518 0.750 0.536
Al 0.982 0.250 0.464
Al 0.482 0.250 0.464
Na 0.101 0.601 0.202
Na 0.601 0.899 0.202
Na 0.899 0.399 0.798
Na 0.399 0.101 0.798

[2]
Computed, not measured: a geometry-optimized LaTa2Pb structure at the GGA-PBE level of DFT.

The formation energy from the elements is 0.605 eV per atom. The space group is I4/mmm, No. 139.

a b c (Å): 5.763 5.763 5.763
angles (deg): 134.82 134.82 65.80
Atoms (fractional coordinates):
La 0.250 0.750 0.500
Ta 0.000 0.000 0.000
Ta 0.500 0.500 0.000
Pb 0.750 0.250 0.500

[3]
Computed, not measured: a geometry-optimized ZrTaGeTe2 structure at the GGA-PBE level of DFT.

The space group is P4/mmm, No. 123. The value obtained for the uncorrected formation energy is 1.19 eV per atom.

a b c (Å): 5.209 4.965 5.209
angles (deg): 90.00 90.00 90.00
Atoms (fractional coordinates):
Zr 0.000 0.500 0.000
Te 0.000 0.000 0.500
Te 0.500 0.000 0.000
Ta 0.500 0.500 0.500
Ge 0.000 0.000 0.000

[4]
Computed, not measured: a geometry-optimized Mg2Ag2Au structure at the GGA-PBE level of DFT.

The formation energy from the elements is -0.132 eV per atom. The space group is P4/mbm, No. 127. The calculation puts the polymorph energy (0 for the lowest one) at 0.170 eV/atom.

a b c (Å): 7.420 7.420 3.472
angles (deg): 90.00 90.00 90.00
Atoms (fractional coordinates):
Mg 0.347 0.847 0.000
Mg 0.847 0.653 0.000
Mg 0.653 0.153 0.000
Mg 0.153 0.347 0.000
Au 0.500 0.500 0.000
Au 0.000 0.000 0.000
Ag 0.143 0.643 0.500
Ag 0.643 0.857 0.500
Ag 0.357 0.143 0.500
Ag 0.857 0.357 0.500

Which formula does entry 3 have?
ZrTaGeTe2

Repeat the first record exactly.
Computed, not measured: a geometry-optimized Na2Al3Ga4 structure at the GGA-PBE level of DFT.

The formation energy from the elements is -0.031 eV per atom. The space group is Cmce, No. 64.

a b c (Å): 5.866 7.868 8.443
angles (deg): 90.00 110.33 90.00
Atoms (fractional coordinates):
Ga 0.185 0.750 0.870
Ga 0.685 0.750 0.870
Ga 0.325 0.480 0.649
Ga 0.815 0.250 0.130
Ga 0.675 0.520 0.351
Ga 0.175 0.980 0.351
Ga 0.315 0.250 0.130
Ga 0.825 0.020 0.649
Al 0.500 0.500 0.000
Al 0.018 0.750 0.536
Al 0.000 0.000 0.000
Al 0.518 0.750 0.536
Al 0.982 0.250 0.464
Al 0.482 0.250 0.464
Na 0.101 0.601 0.202
Na 0.601 0.899 0.202
Na 0.899 0.399 0.798
Na 0.399 0.101 0.798

~~~~~
== So much for the data records ==
“Carrie…” Dad warned.
Carrie laughed and went off to find Joe who had the Civic keys.
# Crystal structures, as found in the file
Record 1
Density functional theory data (PBE-GGA) for KGa2Sb2 after structural relaxation.

Geometry as POSCAR:
```
KGa2Sb2
1.0
-3.9224 -7.8215 -1.3946
2.7940 -2.8140 7.9234
-3.2320 1.3332 1.6132
Ga K Sb
4 2 4
Direct
0.3607 0.1393 0.5000
0.8607 0.3607 0.5000
0.6393 0.8607 0.5000
0.1393 0.6393 0.5000
0.0000 0.0000 0.0000
0.5000 0.5000 0.0000
0.8820 0.6180 0.0000
0.6180 0.1180 0.0000
0.3820 0.8820 0.0000
0.1180 0.3820 0.0000
```

## Properties
Its energy relative to the elements, uncorrected is -73 meV/atom. Its crystal system is tetragonal. The calculation puts the relative energy among the computed polymorphs at 0.192 eV per atom.

***

Record 2
Density functional theory data (PBE-GGA) for CdCuOs2 after structural relaxation.

Geometry as POSCAR:
```
CdCuOs2
1.0
-0.0044 2.7079 -0.2278
-2.1220 -1.3650 -1.0092
-4.3764 0.6888 8.2702
Os Cu Cd
2 1 1
Direct
0.0000 0.0000 0.5181
0.0000 0.0000 0.9819
0.5000 0.5000 0.7500
0.5000 0.5000 0.2500
```

## Properties
Its crystal system is orthorhombic. The calculation puts the energy of formation from the pure elements at 0.64 eV per atom.

***

Record 3
Density functional theory data (PBE-GGA) for NaCd2Sn6 after structural relaxation.

Geometry as POSCAR:
```
NaCd2Sn6
1.0
-3.2974 -2.0559 -2.7171
-2.3194 -1.4154 3.8858
-6.0317 9.7423 -0.0516
Sn Cd Na
6 2 1
Direct
0.0000 0.5000 0.2892
0.5000 0.5000 0.5000
0.5000 0.0000 0.7108
0.0000 0.5000 0.7108
0.5000 0.0000 0.2892
0.0000 0.0000 0.5000
0.5000 0.5000 0.8799
0.5000 0.5000 0.1201
0.0000 0.0000 0.0000
```

## Properties
Its crystal system is tetragonal. The calculation puts the relative energy among the computed polymorphs at 0.019 eV per atom. The calculation puts the energy of formation from the pure elements at 0.02 eV per atom.

***

Record 4
Density functional theory data (PBE-GGA) for Cu6NiAu2 after structural relaxation.

Geometry as POSCAR:
```
Cu6NiAu2
1.0
2.5652 0.0001 -0.6859
-0.7990 6.5071 -2.9874
0.6190 -0.4913 7.4518
Ni Au Cu
1 2 6
Direct
0.0000 0.5000 0.0000
0.8497 0.8497 0.6993
0.1503 0.1503 0.3007
0.3320 0.4992 0.6639
0.6680 0.5008 0.3361
0.5000 0.1915 0.0000
0.3320 0.1647 0.6639
0.6680 0.8353 0.3361
0.5000 0.8085 0.0000
```

## Properties
Its crystal system is orthorhombic. The calculation puts the relative energy among the computed polymorphs at 0.000 eV per atom. The calculation puts the energy of formation from the pure elements at 0.10 eV per atom.

***

Record 5
Density functional theory data (PBE-GGA) for La3PbN after structural relaxation.

Geometry as POSCAR:
```
La3PbN
1.0
15.9299 0.0000 -0.3250
6.6836 6.5250 -3.0065
-6.6836 6.5250 3.0065
La Pb N
12 4 4
Direct
0.7657 0.3826 0.4136
0.2657 0.0864 0.1174
0.2343 0.6174 0.5864
0.7493 0.5013 0.7778
0.7486 0.7803 0.4993
0.2514 0.2197 0.5007
0.7507 0.2778 0.0013
0.7514 0.9993 0.2803
0.2507 0.4987 0.2222
0.2486 0.0007 0.7197
0.2493 0.7222 0.9987
0.7343 0.9136 0.8826
0.7500 0.1361 0.6361
0.7500 0.6361 0.1361
0.2500 0.8639 0.3639
0.2500 0.3639 0.8639
0.3468 0.3329 0.5266
0.6532 0.6671 0.4734
# Back to the article
Meanwhile, Rose was making plans to construct a fountain for her personalized project in Ceramics. She would have begun an earlier start on in that week, but the sewer system had backed up in the Arts Center, and she was obliged to wait.